Max was presently staring at Kate. It was not something she did consciously. It was merely that Kate was so very stare-able. Deep beautiful eyes and honey hair piled high and the way she seemed to burrow into her sweatshirt and coil around a mug of tea like it was the only thing keeping her from icing over. Yes, Max had a serious problem here, and she knew it, but had only recently been willing to admit it. Why the hell couldn't it have been... anybody else? She was sure that seeing Chloe after all these years would spark feelings. But she was happy with Rachel, and Max was quite content to see the two of them delight in each other. Victoria was basically her rival, and that right there was prime real estate for a blossoming romance. But no...

Max, the transbian disaster, just had to form a friendship with the good Christian girl Kate and develop the world's most heart-wrenching crush. And it was made so much worse by how sweet and kind and innocent Kate could be. She didn't even seem to understand that her best friend was so different from herself. Or maybe she didn't care. Either way, it was as torturous as it was life-giving.


Snapping to attention, Max realized that she had no clue how many times Kate had called her name. "Oh! Sorry, Kate, you were telling me about something and I'm here just spacing out in my own little world."

"Come on now, Max, it's not even that big a deal. If you have something on your mind, I'd be happy to let you have the floor for a while."

If she weren't so concerned about her own face flushing, she might have noticed the fact that Kate was looking a little overly-warm herself, despite the late fall weather. "No way. I would much rather hear about how things are going for you. Which I know sounds... hella insincere considering I was just going totally blank. But I promise it's just because I didn't sleep too well last night."

"It's really nothing new, exactly... Just Victoria giving me her usual sh- Her usual crap..."

Max sighed sadly and downed the last of her tea. "Grr, sometimes I just wanna..." her hands began wringing the open air, before she suddenly remembered that Kate was probably not so fond of violent behavior. "I-I don't know. Teach her a lesson? Turn her to the side of good. Just... something. She's already so high up, what good does it do her to tear others down?"

Surprisingly, Kate just had another one of her little knowing smiles. Somehow so peaceful even when hurting. "Yes, it would be nice to wave a magic wand and stop her hurtful behavior. As it stands, I'm afraid we can only do it the slow way. I believe they call it 'killing with kindness'?" Kate giggled, and Max was just so impressed with her poise. Victoria didn't deserve kindness, and yet Kate seemed almost dead-set on giving it to her regardless. It was the reason Max cared for her, why she wanted to hold her, and promise that things would get better. Because Kate deserved such kindness. "Hmm... Well, I can't argue with that."

Kate didn't really wish to throttle Victoria, obviously. Anyone with eyes could see that she was just an incredibly insecure mass of issues. Kate would never say such a thing out loud, but she pitied Victoria most of the time. But she also had a very keen ability to pick out the thing you were most anxious about. And when it came to Kate, nothing stung her heart worse than when someone managed to see through her carefully maintained image. Almost from day one, Victoria zeroed in on little things – not just Kate's religion or abstinence, but her broad shoulders, her pronounced chin, her awkward posture.

Her family might have been shockingly accepting of her, but the world was not so kind. Others could be cruel and judgmental, and as a general rule, Kate preferred to keep herself closed off to any but those who had proved themselves.

Max had certainly proved herself time and time again. She was also so kind and sweet, and she didn't care if Kate was a little bit different. But unlike her friends Alyssa or Stella, she found she just couldn't come clean when it came to Max. And as much as she hated to admit it, she knew the very simple reason why. It was easy to tell someone you didn't always identify as a girl when you weren't romantically interested in them. But when you put forward the simultaneous idea that you have a nasty crush on them but also that maybe the kind of body they like isn't the kind of body you have, it's just... all too much.

So Kate kept right on dancing around it, assuming that Max was merely the greatest kind of friend one could have. The familiar click and flash of the camera brought her back to the moment at hand. "Kate, seriously, do you have a bad angle?" She shook the photo as it developed, glancing at it with a satisfied smile.

I have many, Max. You just refuse to see them. That's the only thing I can think of. Victoria sees only them. Perhaps that is what makes you two like polar opposites. She shut down this horrible thought with a giggle. "Well, I suppose you would know better than me, Max. You practically have a second camera in your head. You seem to have an almost... natural ability with this stuff." She nervously tucked a bit of hair behind her ear.

"You're one to talk, Kate! You pick up a pencil and you just create... magic. Seriously, I can't wait for the day you make that first kids book. Everyone will love it." Kate's face immediately lit up like crazy, and if she weren't so distracted by her embarrassment, she might have noticed that Max looked rather red-faced after her compliment.

She knew she had to say something before her silence went on too long. "Don't worry, you'll be the first to know. After all, I'm going to need those photos done by a talented artist, no?"

Max deserved so much more than just an opportunity to have her work published on a silly little childrens book. Max deserved kisses and cuddles and joy. And Kate knew that ultimately she would never be the one to provide it for her.

Chloe was fully aware that something was up with her best friend. She'd known it for... hell, weeks now. They brought Max out to the junkyard to maybe get her away from things for a while. And yet here she was, sitting in the secret clubhouse, knees tucked up under her chin. Chloe shared a significant glance with her girlfriend, silently arguing about who ought to take the job. Eyebrows raising and lowering, soft coughing, glancing back and forth between themelves and poor Max.

Chloe finally relented since she was the one who had known Max back when she was... well, okay her name had always been Max. It wasn't a tough transition. This was her best friend, everything else was just details. She stood up, dramatically dusting herself off with a drawn-out sigh. "Alright. Out with it. You've been a Mopey Maxine all day and frankly it's exhausting. I'm not gonna let this go. Just tell me if there's some ass I need to kick or whatever, you know I'll do it."

"It's not that, Chloe... It's..." She sighed, hugging her knees even tighter. God, she looked like such a sad-sap! This was interminable. "It's Kate..."

"What, your girlfriend?" Rachel quipped before Chloe could say anything, and she reeled back to slap her shoulder with a quick glare. "Sorry! I just... it is kinda obvious..."

Chloe sighed again, even lower and longer. Maybe she shouldn't have brought Rachel along. But too late now, sending her away would just make her look like a dick. "What Rachel means to say is that we... kinda sorta thought you were basically already dating."

"You know we can't, Chloe... She's... She's a Christian and we're just friends and... and she deserves someone way better than me." Max refused to so much as look at her. This was depressing, pathetic.

Wait. Wait wait wait wait wait. Did Max not know? Every waking minute she didn't spend with Chloe, she spent hanging around that girl. Didn't girls like her have a sixth sense for this kind of thing? Hell, she was sure Kate would have told her the truth by now! But Max seemed legitimately certain that Kate – the shit-fucking goddamn Angel of Blackwell – wouldn't have any interest in dating a trans girl, despite the fact that Max would willingly tear both her arms off or smash up her camera if it meant making that girl's day better.

This was so fucking dumb. "Maxine Caulfield! You are utterly in love with that girl, and I don't think there's a single soul in this world that would treat her better than you. Think about her behavior, the kind of people she surrounds herself with. Think about just how much she already cares about you, and how much better that could be if you would just admit you're in love with her."

There was a long silence as the two of them stood (or sat) their ground and just watched carefully. "You know if this backfires you're gonna owe me a tub of ice cream."

"Our usual agreement then. Fine."

Stella took in a long, deep breath, then gently adjusted her glasses. "Kate. Kate Kate Kate Kate... You are, and I say this with the utmost love and caring, a gigantic idiot."

Her friend looked at her from across the room with that wide-eyed innocence and anxiety. She loved that look. She hated it. Kate seemed to feel so many things so deeply, and she just couldn't relate. It seemed Alyssa couldn't either. Both of them had reached the breaking point with this whole damn situation. "Seriously, girl, you are being forcefully ignorant at this point, right?"

"Wh- I don't know! Maybe! Whenever I think about all the things that could go wrong, it's like... like my heart is just snapping into pieces. If just thinking about it hurts that much, how much worse will it be when it actually happens?" She whimpered softly and stared at the floor, refusing to make eye contact with either of them.

Stella forced herself to think emotionally, if only for five seconds. Or... barring that, she could at least try and use her rationality to make Kate think about the positive side for a moment. "Okay just... follow me on this for two seconds. Ignore all that... bad stuff. Take a second to consider the best possible outcome. You tell Max everything, and she's all 'Kate oh Kate!' and she throws herself into your arms and shit. Think about how awesome that could be for you."

### Between two parts of the page: data records
This record from the Open Molecules 2025 dataset describes a 12-piece molecular cluster, C34H98N6O12 overall at a distorted geometry. The level of theory is wB97M-V/def2-TZVPD.

The geometry in XYZ format:
```
150
Properties=species:S:1:pos:R:3
C -7.3886 -2.3498 -5.0791
H 3.7299 0.1528 9.5359
H 3.4424 4.5921 -6.9666
C -4.3951 3.7939 -8.4435
H -7.3200 -4.0638 5.5425
H 2.3887 1.8464 6.6076
C -6.3805 2.3119 3.4660
H 10.3989 6.8176 1.7131
H 8.6705 6.2000 3.3808
C -5.5534 2.7738 -8.5802
C 6.3414 -2.0508 -3.1448
C 5.2767 -1.4629 -2.1336
H 4.9940 -1.3333 -0.0300
H 1.5764 -3.2032 -7.7665
H 1.5398 6.3598 1.0725
H -3.3975 3.1106 -10.0240
H 0.5461 5.2767 0.0394
C 0.8289 -5.9751 0.5887
H 2.0949 0.3914 9.9359
C -0.0049 -0.0773 -0.0937
C -3.3314 -3.4506 5.8628
H -3.0827 -2.4348 5.5557
N 7.3002 4.3037 4.8731
O 0.5823 -7.2051 1.2945
H -5.0800 -1.0543 -5.3497
C -7.0390 -3.0887 5.1446
C -2.8596 3.1791 -4.9717
H -6.2081 -3.9553 3.3143
O -4.7159 -3.7366 5.5843
C -1.0629 -0.0356 1.0385
H -7.8829 -3.3773 3.1688
H -5.0720 1.8039 -8.7050
O -8.3397 -3.1156 -4.3225
O 5.8230 -3.1506 -0.3750
H 5.8724 3.6847 2.4919
H -2.5909 -4.0561 5.3402
H -0.5167 0.0584 1.9771
C 2.3305 0.1833 7.8413
H 2.7317 -2.6892 -6.6767
N 5.1196 -0.0366 -2.3573
C -0.2583 -5.7830 -0.4458
H 0.4287 3.8763 1.7022
H -5.8575 -3.8791 -5.1547
H -1.6978 0.8461 0.9519
H 1.3801 -7.4814 1.7514
H 1.2681 -0.0322 7.7275
H 7.3248 -1.6498 -2.8995
H 0.1566 7.0064 0.3429
H -1.2740 5.3498 1.4474
N -8.1140 -2.2141 5.5138
C 3.1031 -0.6503 6.8305
O -3.8039 3.4490 -6.0350
H 1.8189 -6.0252 0.1354
H -2.7927 2.5029 -7.6533
H -5.3030 -1.7669 5.5898
H 1.8843 -4.5111 -4.9705
H -7.4982 -1.3328 -4.7026
H -7.5744 1.2108 4.5041
H 5.9876 5.3849 2.8463
H 6.5118 -3.1224 -3.0410
H 2.5230 -5.2057 -6.5452
H -6.7382 1.8448 2.5484
C -0.3262 5.5636 1.9414
C 2.7299 -0.1831 9.2615
H -1.2160 -5.9353 0.0520
H 6.0888 -1.8826 -4.1917
H -6.5931 -2.2459 3.1380
C 7.7987 4.1379 3.5244
O 0.8865 -2.3224 -5.9447
C 2.7665 4.2260 -6.1937
H -5.9971 -3.2547 -2.7986
H 6.0208 -4.4647 1.1725
H 2.0458 2.1984 8.0884
H 3.6262 -1.6454 11.3090
C -5.9317 -2.8210 -4.9034
H 9.7858 5.0505 3.9946
N -5.0400 -1.9980 -5.7075
H -9.5442 -4.6984 -4.3604
H -2.5435 4.2256 -7.3878
O 9.5135 4.9068 1.9714
H 1.1804 -1.4230 -6.1068
H 6.6687 -1.1439 -0.4217
C -5.6965 -2.7435 5.8719
H 6.9854 5.2478 5.0452
H -0.3858 6.3222 2.7219
C 10.6357 5.7538 1.7003
H -0.2792 -6.5125 -1.2554
H -4.0801 -2.2029 -5.4693
H 6.4492 3.7609 4.9079
H 1.8394 4.7809 -6.3370
C 6.5845 4.4967 2.6391
H -2.4360 2.1904 -5.1486
H 5.2356 -2.8444 1.5780
C 5.7730 -1.7001 -0.6983
H 6.0242 0.4110 -2.3190
H -5.3934 1.9232 3.7164
H -5.8241 -1.5702 -3.1622
C -3.2864 3.4286 -7.3573
H 4.0566 -0.2535 6.4819
N 2.6233 1.5687 7.5499
H 11.3877 5.5297 2.4568
H -7.6024 -2.3193 -6.1475
H -0.1983 -4.7824 -0.8738
O 0.7326 1.0962 -0.1443
C -6.9082 -3.1750 3.6128
H -4.6996 4.8119 -8.2004
O 0.2124 4.4109 2.4696
C 1.7906 -4.5642 -6.0551
H 0.9010 -5.1075 1.2446
H -1.6146 -0.9755 1.0204
H -4.4373 -2.7517 -3.3117
H -8.8300 -4.2205 -5.9566

It wasn't exactly hard to see the major details that Kate was seemingly making herself overlook. Kate wasn't the only trans girl at the school, and she damn sure wasn't the only one who wasn't straight. If Stella were the betting type, and somewhere deep down she was, then Max was pretty much a perfect fit for her. She wanted so bad to take her friend by the shoulders, shake her viciously, and tell her what she was missing. But that wasn't her job. Only Max and Kate could share that kind of stuff with one another. Which meant all Stella and Alyssa could do was push her in the right direction.

"That would be so nice... And... you think it's really possible? What if-?"

Alyssa huffed. "What if? No more 'what ifs' Kate! You know what you want and you have the opportunity. Be glad, the only obstacle in your way is yourself. Go on. Go get her."

Kate actually shot up to her feet, hands clenched at her sides in determination. "R-Right! I... I gotta go..."

These molecular data were left in the text by mistake =
'''
(1)
16
Properties=species:S:1:pos:R:3:forces:R:3:nbo_charge:R:1 method="wB97M-V/def2-TZVPD" e_above_lowest_kj_mol=146.2 gap_ev=8.37 e_homo_ev=-4.2 e_lumo_ev=4.162 charge=-1 total_energy_ev=-10436.9501
C 0.01249 3.13788 1.42191 5.0 -2.5 3.2 -0.709
C 0.01369 1.65633 1.02175 2.0 -1.0 -1.3 0.753
O -0.76496 1.28368 0.11037 -0.7 0.4 0.2 -0.800
O 0.96153 0.93515 1.46410 -1.0 0.9 0.4 -0.798
H -0.20837 3.14789 2.49363 -0.1 0.3 0.0 0.198
H -0.59644 3.74511 0.94059 -2.9 2.6 -2.5 0.188
H 1.13300 3.50006 1.36445 -2.2 -0.6 0.0 0.200
C -0.55231 -1.71737 -1.23406 1.1 0.9 -2.9 -0.060
C 0.32025 -2.78717 -0.57756 -0.7 -1.5 -1.0 -0.643
O 0.22834 -0.55888 -1.69006 0.2 -0.1 1.0 -0.798
H -1.02719 -2.01689 -2.18959 0.5 -0.5 0.2 0.142
H -1.40789 -1.42646 -0.71622 -1.0 0.7 1.8 0.178
H -0.30130 -3.66104 -0.06168 1.3 2.1 -0.7 0.185
H 0.31580 0.22138 -1.03286 -1.1 -1.9 -0.5 0.528
H 0.90842 -2.13705 0.06793 0.4 -0.9 0.6 0.248
H 0.96495 -3.32261 -1.38269 -0.8 1.1 1.4 0.189


(2)
107
Properties=species:S:1:pos:R:3:forces:R:3:lowdin_charge:R:1 method="wB97M-V/def2-TZVPD" e_above_lowest_kj_mol=13.1 gap_ev=6.46 e_homo_ev=-4.3 e_lumo_ev=2.199 charge=-1 total_energy_ev=-223859.0568
Ba -1.86705 -1.06972 -0.77476 -0.5 -0.3 0.2 1.549
C -4.41522 -2.47831 0.02900 -0.1 -0.2 0.1 -0.355
C -3.67984 -3.50233 -0.62378 0.2 0.2 -0.1 -0.340
C -2.58934 -3.84807 0.20001 0.1 0.2 -0.2 -0.342
C -2.64632 -3.03684 1.35801 -0.1 -0.2 0.1 -0.362
C -3.80613 -2.23647 1.28007 0.1 0.3 -0.2 -0.342
C -4.32107 -1.29487 2.32893 0.0 0.1 0.0 -0.054
C -1.74141 -3.20134 2.54216 -0.1 -0.1 0.2 -0.066
C -1.52418 -4.87071 -0.07354 0.1 -0.1 0.0 -0.051
C -4.01390 -4.10899 -1.95569 -0.1 0.0 -0.1 -0.054
C -5.68773 -1.85863 -0.46964 -0.1 0.1 0.0 -0.054
H -4.27402 -0.24637 2.01605 0.0 0.0 0.0 0.047
H -3.75729 -1.38819 3.25826 0.0 0.0 0.0 0.062
H -5.36974 -1.49804 2.56895 0.0 0.0 0.0 0.071
H -1.68520 -2.30541 3.16249 0.0 0.1 0.0 0.066
H -0.72397 -3.45785 2.24323 0.0 0.0 0.0 0.051
H -2.08214 -4.01453 3.19454 0.0 0.0 0.0 0.080
H -0.54815 -4.42202 -0.28969 0.0 0.0 0.0 0.067
H -1.77531 -5.49631 -0.93063 0.0 0.0 0.0 0.060
H -1.38478 -5.54305 0.77893 0.0 0.0 0.0 0.073
H -3.81295 -3.45351 -2.81297 0.0 0.0 0.0 0.060
H -5.07096 -4.38491 -2.01866 0.0 0.0 0.0 0.069
H -3.43622 -5.01683 -2.13310 0.0 0.0 0.0 0.061
H -5.55811 -0.88712 -0.96551 0.0 0.0 0.0 0.041
H -6.38836 -1.68627 0.35131 0.0 0.0 0.0 0.070
H -6.18576 -2.51254 -1.18971 0.0 0.0 0.0 0.065
C -3.49778 -0.42059 -4.24419 0.0 0.0 0.1 -0.045
C -2.11951 -0.89119 -4.61110 -0.1 0.0 0.1 -0.323
C -1.69464 -0.86485 -5.95628 0.1 0.0 0.0 -0.017
C -0.43243 -1.27326 -6.27725 -0.1 0.0 0.1 -0.031
C 0.44179 -1.70903 -5.25740 0.0 0.0 -0.1 -0.199
C 1.76643 -2.16833 -5.47044 0.0 0.0 0.1 -0.643
Br 2.50088 -2.20789 -7.22569 0.0 0.0 0.0 0.718
C 2.53484 -2.58594 -4.42151 0.1 0.0 -0.1 -0.195
C 2.04651 -2.55026 -3.11245 -0.2 0.2 0.0 -0.614
Br 3.16857 -3.09803 -1.68938 0.0 0.0 0.0 0.776
C 0.76992 -2.07519 -2.79456 -0.1 0.0 -0.1 -0.475
O 0.30715 -1.95914 -1.61643 0.3 -0.2 0.1 -0.365
'''

Striding down the hallway, filled with purpose, Max was heading straight for Kate's room. So it was kind of a shock when she suddenly ran head first right into Kate herself. The both of them fell rather dramatically to the ground.

"Hey, jeez, I'm sorry, I'm kind of in a rush..."
"Oh goodness, I'm so sorry, this is all my fault, but I really have to..."


They were speaking nearly over each other, and Max could feel her friends watching from the sidelines. And unless she missed her mark, Stella and Alyssa were spying from the nearby open door.

"I'm so glad I ran into you! Hah, literally, jeez. I actually wanted to talk to you."
"Max, we need to talk, can I-?"

They finally caught on simultaneously to the way they were speaking in sync and began laughing. Max was up on her feet first, offering a hand to Kate which she gladly took, and hauled her up too. "You said you needed something?"

"Oh! Yes, well... Yes, um... maybe we should get out of the hallway first though." Kate used the grip she still had on Max's hand and quickly dragged her the rest of the way down the hall to her room. In something of a whirlwind, the two of them were sitting on Kate's bed across from one another. She was still holding her hand with incredible strength while her free hand picked at a loose thread on her skirt. "Um..."

"Well... Well, there were some things I wanted to say too, so... maybe I could start? And then you can go?" Max smiled in a way that she hoped was helpful and encouraging. Judging by Kate's enthusiastic nodding, she figured this was it. The thing she'd been avoiding doing for months now. She just had to remember, this was Kate. Kind and sweet and understanding. This was totally easy and doable. "Kate, I've come to... really admire you. And... And I like you. In a way that is not just friendly. A-And I wish that was the only thing but there's something more important that I have to tell you. I'm... I'm trans. And for some people that's fine. And for others that's a huge problem. And so I just needed to dump all this stuff in your lap before I completely break from holding it in." Max drew in a long, shaky breath, trying to not break down. "All I ask is that... if nothing else... we can keep being friends. Because you are like the most important person in my life."

Kate sat there, staring at her, slack-jawed for a time. Max was more certain with each passing second that Kate was about to kick her out. But instead she broke out in a gigantic, earth shattering smile that could outshine the sun. "Max~" Granted she'd always said that name in a way that made her melt. But right now, Max was sure she could die happy. "I can... hardly believe my luck. I spent so long afraid to tell you the things in my heart. And now I come to find out that they are in your heart too." Without warning, Kate launched herself across the bed to pull Max into a tight hug. She could hear her sniffling slightly and quickly started to hug her back.

"So then... you too...?"

(1)
Formula: C4H5FOS
Source: the OMol25 dataset
Level of theory: ωB97M-V with the def2-TZVPD basis set

```
12
C4H5FOS, DFT ωB97M-V with the def2-TZVPD basis set
O -0.3399 2.4588 0.0489
C -0.6640 1.3355 0.0625
S -2.2438 0.5663 -0.2449
C -1.1753 -0.8377 0.2111
C 0.0662 0.0077 0.3627
C 1.3216 -0.1935 -0.4746
F 2.2913 0.7572 0.0219
H -1.4542 -1.3856 1.1231
H -1.1271 -1.5319 -0.6267
H 0.3239 -0.0116 1.4497
H 1.1852 0.0078 -1.5383
H 1.8162 -1.1731 -0.3954
```

relative energy (zero: lowest compared OMol25 entry of this formula, charge and spin) = 0.0 kcal/mol
SMILES = O=C1SC[C@H]1CF
total energy = -728.68710 hartree
E_HOMO = -9.8 eV
2S+1 = 1
E_LUMO = 0.019 Ha

---

(2)
Formula: C4H5NO2
Source: the OMol25 dataset
Level of theory: ωB97M-V with the def2-TZVPD basis set

```
12
C4H5NO2, DFT ωB97M-V with the def2-TZVPD basis set
C 0.6380 1.2944 0.5056
C -0.9502 0.4349 3.2315
C 0.4965 -0.7892 -2.2371
C -0.2921 -0.4648 -0.9749
N 0.1863 0.3564 -0.0358
O 0.1266 0.1659 3.4917
O -1.9862 0.7433 2.9148
H 1.2597 1.2975 1.5096
H 0.1943 -1.8236 -2.6897
H 1.5482 -0.5540 -1.9230
H 0.1211 -0.0953 -2.9355
H -1.3421 -0.5656 -0.8571
```

relative energy (zero: lowest compared OMol25 entry of this formula, charge and spin) = 69.0 kcal/mol
total energy = -360.55943 hartree
E_HOMO = -7.5 eV
2S+1 = 1
E_LUMO = 0.023 Ha

---

(3)
Formula: C46H54BiCl2FN5O7Si2
Source: the OMol25 dataset
Level of theory: ωB97M-V with the def2-TZVPD basis set

```
118
C46H54BiCl2FN5O7Si2, DFT ωB97M-V with the def2-TZVPD basis set
Bi -0.6200 0.3827 -0.5603
O -4.8350 4.5257 3.8734
C -3.8249 4.9783 3.3058
O -3.4079 6.1429 3.1705
C -2.8965 3.8950 2.6965
C -3.1918 2.5471 2.8248
C -2.3494 1.6074 2.2494
N -1.2601 1.9584 1.5553
C -0.9554 3.2557 1.4462
C -1.7510 4.2477 2.0027
C 0.2999 3.5808 0.7045
C 0.9195 4.8195 0.8407
C 2.1020 5.0574 0.1623
C 2.6429 4.0561 -0.6266
C 1.9636 2.8531 -0.7120
N 0.8213 2.6227 -0.0685
C -2.6235 0.1434 2.3584
C -3.4744 -0.3651 3.3336
C -3.7237 -1.7267 3.3595
C -3.1146 -2.5479 2.4255
C -2.2618 -1.9679 1.5014
N -2.0269 -0.6596 1.4710
H -4.0991 2.2871 3.3524
H -1.5379 5.3039 1.9107
H 0.4929 5.5765 1.4819
H 2.5991 6.0143 0.2587
H 3.5680 4.1950 -1.1689
H 2.3362 2.0348 -1.3175
H -3.9284 0.2938 4.0592
H -4.3874 -2.1416 4.1074
H -3.2854 -3.6155 2.4132
H -1.7479 -2.5582 0.7509
Cl 2.7335 0.8682 -4.4339
C 1.4311 2.0008 -4.2417
C 1.3766 3.1114 -5.0938
C 0.3972 4.0476 -4.9490
Cl 0.3649 5.4264 -6.0183
C -0.5759 3.9175 -3.9306
C -1.5896 4.8692 -3.6756
C -2.4595 4.6761 -2.6435
C -2.3320 3.5135 -1.8611
N -1.4144 2.6053 -2.0784
C -0.5241 2.7803 -3.0906
C 0.5020 1.7690 -3.2331
O 0.5826 0.7398 -2.4539
H 2.1268 3.2213 -5.8648
H -1.6520 5.7512 -4.2982
H -3.2328 5.3956 -2.4123
H -3.0107 3.3404 -1.0317
C -4.6675 -2.2729 -1.9186
Si -3.5290 -0.7824 -2.0760
C -4.0735 0.3884 -0.6968
C -3.9257 0.1560 -3.6620
N -1.8633 -1.2093 -1.9105
C -1.2693 -2.0589 -2.8246
C -1.8932 -2.6307 -3.9519
C -1.2304 -3.4834 -4.8254
C 0.0969 -3.8221 -4.6246
C 0.7500 -3.2947 -3.5154
C 0.0674 -2.4586 -2.6680

"All of it. I-I was so scared to tell you and now come to find out I've been a complete fool!" She sniffled again, and Max realized that she finally had what she wanted. She could hold Kate and comfort her. She could hold her and she could...

There was nothing Max wanted more in that moment, and she was certain now that Kate did too. So she pulled back from the hug just enough, taking the girl's cheek in her hand, looking into her eyes that were glittering slightly with foolish tears. "No more of that. There's no point in lingering on how ridiculous we were. Everything is okay now." And they kissed. Thank god, they kissed. It was so good. Better than Max could have ever hoped for. Kissing someone who understood, kissing someone who didn't mind. Kissing an angel.

"It warms the heart to see two of Blackwell's biggest losers hooking up." Kate's shoulders had a way of unconsciously tightening every time she heard Victoria say anything. Doubly so when she was being her usual... mean self. Not that long ago, she would have kept right on walking. But that was when she felt a familiar hand fill the space within her own. And she knew she had nothing to fear.

So she turned to look at Victoria, and more than ever before, she felt that sense of pity rather than fear. Her eyebrows turned up slightly and she shook her head. What did you say to shut down the girl who has everything. "Victoria, if I can get a girlfriend, literally anyone can. There are lots of pretty girls in the Vortex Club. Would you like us to set you up with someone?" She didn't say it maliciously. In a way, she meant it. And perhaps that was why the blonde looked so flummoxed and confused.

That was about the time Rachel sidled up with a much more playful, puckish grin. Her weapon was definitely not kindness. "Vic. You know those two aren't to be messed with as long as they are on holy ground. And Kate is never not on holy ground. Give it up and find a new target. Or better yet, give up the princess schtick and try being a decent human being for once in your life."

She was wordless before and now she was basically struck totally mute. Without any kind of clever follow-up, she went stomping off down the hall for parts unknown. Rachel turned and winked at the pair, obviously glad to help. Kate had assumed that accepting herself and going out with Max would be a fairly straightforward blessing. But now she saw that it came with new friendships, new companions, new opportunities, and so much more. Sometimes she felt the urge to chide herself for waiting this long. But then she would remember to be thankful for the moment, for the now. And she was thankful indeed.